-- Work order --
Your job: search the data further down for the word "Tm12" and write out each line that has it.
-- Input --
Record 1
# Sm2Tm12Zr
Theoretical XRD peak list, Cu Kα. Input: a cell relaxed with PBE.
No peak broadening, texture or thermal motion is included.

Atomic structure:
```
data_Sm2Tm12Zr
_chemical_formula_sum 'Sm2 Tm12 Zr1'
_cell_length_a 3.4891
_cell_length_b 5.5037
_cell_length_c 23.7272
_cell_angle_alpha 90.00
_cell_angle_beta 94.20
_cell_angle_gamma 90.00
_symmetry_space_group_name_H-M 'P 1 2/m 1'
_symmetry_Int_Tables_number 10
loop_
_symmetry_equiv_pos_as_xyz
'x,y,z'
'-x,-y,-z'
'-x,y,-z'
'x,-y,z'
loop_
_atom_site_label
_atom_site_fract_x
_atom_site_fract_y
_atom_site_fract_z
Sm1 0.1363 0.0000 0.2758
Tm1 0.0325 0.5000 0.0627
Tm2 0.0633 0.0000 0.1269
Tm3 0.2219 0.5000 0.4443
Tm4 0.2871 0.0000 0.5742
Tm5 0.3370 0.5000 0.6717
Tm6 0.4054 0.5000 0.8108
Zr1 0.5000 0.0000 0.0000
```

Principal peaks in the range 2θ from 10° to 90°, most intense first:
(1 1 2), 31.80 deg, d 2.814, I = 100; (0 2 0), 32.54 deg, d 2.752, I = 83; (1 1 -5), 34.90 deg, d 2.571, I = 55; (0 1 8), 34.42 deg, d 2.605, I = 52; (0 1 7), 31.05 deg, d 2.881, I = 52; (1 0 5), 33.05 deg, d 2.710, I = 44; (1 2 5), 47.06 deg, d 1.931, I = 33; (2 2 -1), 63.10 deg, d 1.473, I = 25; (2 0 -1), 52.45 deg, d 1.745, I = 22; (1 3 2), 57.59 deg, d 1.600, I = 19

***

Record 2
# SmYV4
Theoretical XRD peak list, Cu Kα. Input: a cell relaxed with PBE.
No peak broadening, texture or thermal motion is included.

Atomic structure:
```
data_SmYV4
_chemical_formula_sum 'Sm4 Y4 V16'
_cell_length_a 7.6497
_cell_length_b 7.6497
_cell_length_c 7.6497
_cell_angle_alpha 90.00
_cell_angle_beta 90.00
_cell_angle_gamma 90.00
_symmetry_space_group_name_H-M 'F -4 3 m'
_symmetry_Int_Tables_number 216
_symmetry_space_group_name_Hall 'F -4 2 3'
loop_
_atom_site_label
_atom_site_fract_x
_atom_site_fract_y
_atom_site_fract_z
Sm1 0.0000 0.0000 0.0000
Y1 0.2500 0.2500 0.7500
V1 0.1203 0.1203 0.3797
```

Principal peaks in the range 2θ from 10° to 90°, most intense first:
(3 1 1), 39.05 deg, d 2.306, I = 100; (2 2 0), 33.12 deg, d 2.705, I = 62; (5 1 1), 63.16 deg, d 1.472, I = 31; (4 2 2), 59.17 deg, d 1.561, I = 23; (4 4 0), 69.51 deg, d 1.352, I = 22; (2 2 2), 40.87 deg, d 2.208, I = 17; (1 1 1), 20.11 deg, d 4.417, I = 13; (5 3 3), 82.73 deg, d 1.167, I = 10; (6 2 0), 79.19 deg, d 1.210, I = 10; (2 0 0), 23.26 deg, d 3.825, I = 6

***

Record 3
# Sm3Y7
Theoretical XRD peak list, Cu Kα. Input: a cell relaxed with PBE.
No peak broadening, texture or thermal motion is included.

Atomic structure:
```
data_Sm3Y7
_chemical_formula_sum 'Sm6 Y14'
_cell_length_a 18.2623
_cell_length_b 5.4915
_cell_length_c 7.1021
_cell_angle_alpha 90.00
_cell_angle_beta 112.81
_cell_angle_gamma 90.00
_symmetry_space_group_name_H-M 'C 1 2/m 1'
_symmetry_Int_Tables_number 12
loop_
_symmetry_equiv_pos_as_xyz
'x,y,z'
'-x,-y,-z'
'-x,y,-z'
'x,-y,z'
'x+1/2,y+1/2,z'
'-x+1/2,-y+1/2,-z'
'-x+1/2,y+1/2,-z'
'x+1/2,-y+1/2,z'
loop_
_atom_site_label
_atom_site_fract_x
_atom_site_fract_y
_atom_site_fract_z
Sm1 0.0000 0.0000 0.0000
Sm2 0.1987 0.0000 0.6992
Y1 0.0000 0.0000 0.5000
Y2 0.1082 0.5000 0.3593
Y3 0.1082 0.5000 0.8579
Y4 0.2008 0.0000 0.2015
```

Principal peaks in the range 2θ from 10° to 90°, most intense first:
(5 1 0), 31.16 deg, d 2.870, I = 100; (3 1 -2), 30.44 deg, d 2.936, I = 84; (0 2 0), 32.61 deg, d 2.746, I = 45; (2 0 2), 33.00 deg, d 2.714, I = 38; (2 2 2), 47.08 deg, d 1.930, I = 28; (1 1 4), 61.36 deg, d 1.511, I = 18; (5 3 0), 57.29 deg, d 1.608, I = 17; (8 0 -2), 41.00 deg, d 2.202, I = 16; (7 1 2), 58.23 deg, d 1.585, I = 15; (8 2 -2), 53.34 deg, d 1.718, I = 14

***

Please write out number 1 again, unchanged.
# Sm2Tm12Zr
Theoretical XRD peak list, Cu Kα. Input: a cell relaxed with PBE.
No peak broadening, texture or thermal motion is included.

Atomic structure:
```
data_Sm2Tm12Zr
_chemical_formula_sum 'Sm2 Tm12 Zr1'
_cell_length_a 3.4891
_cell_length_b 5.5037
_cell_length_c 23.7272
_cell_angle_alpha 90.00
_cell_angle_beta 94.20
_cell_angle_gamma 90.00
_symmetry_space_group_name_H-M 'P 1 2/m 1'
-- Completed --
_chemical_formula_sum 'Sm2 Tm12 Zr1'
_chemical_formula_sum 'Sm2 Tm12 Zr1'